Monthly Archives: March 2016



There are many useful remedies for cough in Ayurveda. However, the Ayurvedic physicians prize the Malabar Nut (Botanical name is Justicia adhatoda) very much and call it ‘BAIDYAMATA’ meaning ‘mother of all physicians.’  There is a Sanskrit hymn in praise of this remedy which says that, as long as Vasaka will remain, patients suffering from spitting of blood, phthisis and common cough and cold need not despair.  Ayurvedic physicians even proclaim that no death can take place from cough from any kind if Vasaka can play its role and be used judiciously to heal the patient.

The Ayurvedic view on cough.

 Ayurveda has a very interesting approach to cough. Ayurveda says cough may be a symptomatic manifestation of a swelling of the uvula, accumulation of wax in the ear, constipation or worm infestation. Allopathic physicians recognize that roundworm infestation can cause eosinophilia which is turn may present itself as cough.  Keeping in line with its philosophy, Ayurveda classifies cough into three varieties.

# Attached: calculated crystals
~~~
1.
{
  "formula": "La4Zn3",
  "functional": "PBE",
  "state": "relaxed",
  "crystal_system": "trigonal",
  "m_tot_mub_per_cell": 0.0,
  "formation_energy_kj_per_mol_atoms": -18,
  "dft_energy_ry_per_atom": -0.261,
  "spacegroup": "R-3m (166)",
  "lattice": [[5.055, 0.000, 1.507], [2.303, 4.500, 1.507], [0.071, 0.043, 8.994]],
  "species": ["Zn", "Zn", "Zn", "La", "La", "La", "La"],
  "fractional_positions": [[0.253, 0.253, 0.241], [0.747, 0.747, 0.759], [0.000, 0.000, 0.000], [0.128, 0.128, 0.617], [0.380, 0.380, 0.861], [0.620, 0.620, 0.139], [0.872, 0.872, 0.383]]
}

2.
{
  "formula": "Dy6SnSb3Se2",
  "functional": "PBE",
  "state": "relaxed",
  "crystal_system": "monoclinic",
  "m_tot_mub_per_cell": 0.0,
  "e_form_raw_ev_per_atom": -1.273,
  "dft_energy_ry_per_atom": -0.406,
  "spacegroup": "C2/m (12)",
  "lattice": [[4.293, 0.000, 0.000], [0.000, 8.600, 0.321], [-2.147, -2.461, 9.010]],
  "species": ["Dy", "Se", "Dy", "Sn", "Dy", "Sb", "Sb", "Sb", "Dy", "Se", "Dy", "Dy"],
  "fractional_positions": [[0.333, 0.912, 0.667], [0.169, 0.338, 0.338], [0.996, 0.750, 0.993], [0.500, 0.000, 0.000], [0.667, 0.088, 0.333], [0.833, 0.169, 0.667], [0.167, 0.831, 0.333], [0.500, 0.500, 0.000], [0.332, 0.420, 0.663], [0.831, 0.662, 0.662], [0.004, 0.250, 0.007], [0.668, 0.580, 0.337]]
}

3.
{
  "formula": "Er5CuRu4",
  "functional": "PBE",
  "state": "relaxed",
  "crystal_system": "tetragonal",
  "m_tot_mub_per_cell": 0.0,
  "formation_energy_kj_per_mol_atoms": -39,
  "dft_energy_ry_per_atom": -0.500,
  "spacegroup": "P4/mmm (123)",
  "lattice": [[3.385, 0.000, 0.000], [0.000, 3.385, 0.000], [0.000, 0.000, 16.999]],
  "species": ["Ru", "Ru", "Er", "Er", "Er", "Ru", "Er", "Cu", "Ru", "Er"],
  "fractional_positions": [[0.000, 0.000, 0.801], [0.000, 0.000, 0.599], [0.500, 0.500, 0.500], [0.500, 0.500, 0.893], [0.500, 0.500, 0.696], [0.000, 0.000, 0.401], [0.500, 0.500, 0.304], [0.000, 0.000, 0.000], [0.000, 0.000, 0.199], [0.500, 0.500, 0.107]]
}

4.
{
  "formula": "Sr2Sn2Ru",
  "functional": "PBE",
  "state": "relaxed",
  "crystal_system": "tetragonal",
  "m_tot_mub_per_cell": 0.0,
  "formation_energy_kj_per_mol_atoms": 31,
  "dft_energy_ry_per_atom": -0.280,
  "spacegroup": "I4/mmm (139)",
  "lattice": [[-2.598, 2.607, -1.486], [-2.795, -1.387, 2.453], [-0.077, 6.970, 7.064]],
  "species": ["Sr", "Ru", "Sr", "Sn", "Sn"],
  "fractional_positions": [[0.590, 0.590, 0.820], [0.000, 0.000, 0.000], [0.410, 0.410, 0.180], [0.750, 0.250, 0.500], [0.250, 0.750, 0.500]]
}
~~~


1) Cough due to vata imbalance increases at night, persists continuously, is generally dry and may be accompanied by chest pain. They recommend an oil massage over the chest followed by hot water fomentation to provide relief. Jeshtamadh or Talisadichurna with honey can be licked as and when there is a severe bout of cough.


2) Cough due to pitta imbalance, is continuous, is accompanied by yellow, mucoid expectoration. A bitter taste persists in the mouth and there are sour eructations. The juice of adulsa leaves mixed with honey is probably the best treatment for this.  A paste made with half a teaspoon of sitopaladichurna and one teaspoon of honey and one-teaspoon ghee makes a good medication to lick when the cough is severe.


3) In the kapha variety, there is heaviness in the chest accompanied by headache. Copious amounts of mucous expectoration occur. The saliva is thick and the mucous is difficult to expel. Ideal remedies include chewing roasted behead (Terminalia bellerica) or sucking a paste of equal quantities of pippali and soonth with honey.

The Malabar Nut is the king of all ayurvedic remedies.


The plant, known, as the, ‘Malabar Nut’ is a small shrub found all over India. The Botanical name of this plant is ‘Justicia adhatoda.’  The bark, leaves, flowers and roots are used extensively in Ayurvedic medicine. It is also commonly called as ‘Vasaka.’

Medicinal uses:

 Charaka used it spitting of blood.  Sushruta found it an excellent remedy in tuberculosis, respiratory troubles and jaundice.  Bavaprakasha found it useful in fevers associated with biliousness and respiratory troubles. Charakadatta found it excellent in slow fevers and leprosy.  Bangasena found it useful in piles. In short, all major Ayurvedic books uniformly extol the virtues of Vasaka.

Homoeopathic physicians find this remedy useful hoarseness of the voice and rattling cough, sneezing and whenever copious yellow mucous is expectorated from the chest.

Allopathic research has revealed that it contains fat, resins, a bitter alkaloid, vasicine, an organic acid, adhatodic acid, sugar gum and salts.  Allopathic research has also revealed that Vasaka has medicinal properties and is useful in rheumatism, constipation, asthma, chronic bronchitis and other chest affections.


Today, there is a sharp increase in respiratory disorders due to pollution. We are encountering antibiotic resistant bacteria.  There has also been a sharp increase in Community Acquired Pneumonias and Viral lung disorders. There is a tremendous resurgence of Tuberculosis.

At such a time, more research should be done on herbs like Vasaka and our rapidly declining Bio-diversity. Our ancient traditions should be researched and preserved.


Some useful Homeopathic remedies – Part 105.



 It is a useful remedy in Angina Pectoris, when the pre-cordial chest pain is preceded by with radiation of the pain in the shoulders and the back.

It is useful when the pulse is feeble, rapid and sinking.

It is useful when the skin is marble cold.


 There are proponents for the use of Nitroglycerine in our own school, but since to be effective, sufficient to cause severe headache must be given.  We have used instead, LACTRODECTUS MACTANS 6x potency, the venom of the Black widow spider.  We have had better than 90% success using this remedy.

Dr. Charles A. Dixon, M.D.

I will not go out without LACTODECTUS MACTANS in my case for the reason that when you want it, you want it very badly.  It will relieve the terrible torture of angina pectoris very promptly and it will hold it for sometime. I have used it repeatedly in these cases. Not only does it hold it, but also, it holds it for a very long while.  You very seldom get a repetition of it afterwards, unless it is a natural pathological condition that has destroyed altogether the coronary artery.

Dr. H. A. Roberts, M.D.




The sun is present every day of our lives and many cultures have worshiped it as a God. Heliotherapy is an alternate therapy that argues that the sun can heal, if we properly sunbathe.

Benefits of the sun:


It contributes to the production of endorphins. These are substances that make us feel “good”, and therefore induce antidepressant effect and promote a sense of well being.
Exposure to sunlight promotes the synthesis of vitamin D, essential for bone health.
It relaxes blood vessels and favors good circulation and activates the production of red blood cells.

It improves circulation in the skin by dilatation capillaries found in the skin surface. So it can help heal injuries from the skin faster.

Induces sweating and enables the body to release toxins.
It improves the immune system by increasing the amount of white blood cells.
Exposure to sunlight has an antiseptic effect. Bacteria are unable to reproduce or die in solar radiation.



Sun exposure should be gradual, and progressive, so that our skin can get used to it. Avoid sun between 11am and 2 pm. This is because these are the hours when solar radiation is generally more intense. It is best to do sunbathing in the early morning or late afternoon. It is best to begin with a session of 10-15 minutes, and then as your skin will adapt, add 5 or 10 minutes in length, up to a maximum of 50 minutes. Another way to start is by exposing only a part of our body; we can start with the feet, and as the days pass, gradually increase the surface of the skin that is exposed until the entire body. It is recommended to change positions every five minutes, so that all our body receives energy from the sun. In the last part of the solar bath, wrap yourself in a light blanket to promote sweating, and thus expel toxins. It is also better to moisturize your body during sun bath.


Sunbathing is useful for cleansing the body, for better bone health and improving skin circulation.

Some useful Homeopathic remedies – Part 104.



This remedy is derived from skimmed cow’s milk.


It is useful in the complications associated with pregnancy, such as
Vomiting in pregnancy, constipation, headaches etc.


This remedy is useful in headaches, which are periodical, intense, throbbing, beginning in the forehead and extending to the back of the head, worse in the morning and associated with nausea, vomiting, blindness and obstinate constipation. It is also useful in those headaches that compel the patient to tie a bandage around his head and for those who are worse from the slightest noise, light or motion.

It is also useful in Diabetes, High blood pressure, and Neuritis.


It is extremely useful in children with milk allergy, causing colds, nausea, vomiting and diarrhea and itchy eruptions.